Sean Dolan’s

The 13th Nightmare of Halloween


“The real battle for supremacy begins this year.”

Open on:

The new Line cinema logo which then:

Cut to:

Scene 1:

Freddy’s lair.

We open on the shot of a blazing hot fire. We don’t seem to see anything from the main shots.

We then cut to show a shot of young girls in white, singing and skipping over a skipping rope singing.


One, two Freddy’s coming for you,

Three four, better lock your door

Five six, grab your crucifix.

Seven, eight better stay up late.

Nine ten, never sleep again.

We soon begin to realise that we are watching this whole sequence from some ones point of view. We look all over the room and now we see a hand raising up and almost coming down during this there is voices going over the main track almost in a chant.


Alice! Wake up!!!

Cut to:

Interior of Jacks inn, Springfield Ohio, night.

The café is found in a very remote area of Springwood.

We cut to show the opening of a woman’s eyes as she gasps in terror. The camera pulls up and we reveal, a middle aged Alice Johnson, the heroine of A Nightmare On Elm Street 4 and 5. She has moved on from those times and is enjoying life in California. She is here visiting her father. Unfortunately, her son was killed during the spread of suicides that infected Springfield during the Nightmare movies.


Hey kiddo, you ok?


(Looking up almost bewildered)

Yeah I’m fine. Why shouldn’t I be?


Kiddo, you haven’t slept for days, why you having so many problems sleeping?



Don’t know. But I think I am dreaming of him again.


(Drinking down a cup of coffee)





Just as Alice says this one word, everyone in the café, looks up at her as if to say that she has said something she shouldn’t.

Yvonne takes one look around and gives them a daggers look and then turns back to Alice:


Alice, it has been what? 14 years since that maniac ever tried to do something to you in your sleep?


(Looking down sad)

Yes, I know. But the bastard killed Jacob. I know it.


You don’t know that Alice.


(Looking up angrily)

Yvonne, Jacob was murdered. He didn’t commit suicide. I know it.


(Putting a hand on Alice’s shoulder)

Sweetie, don’t get upset. I know that it has been hard for you, but you have to take it one day at a time.

(Alice nods her head)

Anyway, that happened six years ago didn’t it. I meant 14 years since the attacks on you.


(On another note)

I would love to know how he is alive.

(Yvonne looks up at her)

I am the dream master he has to come through my dreams. There is no other way he can possibly be alive.

We end this scene with a long shot of the two girls talking in the café.

Cut to:

Exterior shot.

We cut to a shot from outside, we see three hillbillies standing outside the café and are joking about something that we cannot hear ourselves. We now begin to move towards them and now we can hear what they are saying to each other.

Hillbilly 1:

(Joking, drunk)

Wow, that blonde girl was babe. I would love to do her.

Hillbilly 2:

Na, you kidding. She is probably married.

Hillbilly 3:

Hey when did that ever stop you?

Hillbilly 2:

Ok, I admit it, but she may look young and very weak but I have a feeling there is more to that blonde girl than we see.

Hillbilly 1:

Yeah, a lot more.

With that said, the first hillbilly makes some rude gesture and begins to continue to make a lot stupid comments and things.

Cut to:

First POV:

On this shot, we do not see anyone else in sight but the hillbillies and they are continuing to chat, joke and laugh away.

The camera now begins to move down towards them very slowly indeed.

When the camera is right behind them, the third hillbilly turns around and looks right into the camera as if he is talking to someone not seen on screen.

Hillbilly 3:

Well what do we have here?

(Laughing to the others)

Hey guys, I didn’t know Halloween had come early.

(All three of them begin laughing, the camera moves from side to side as if it is the person’s head)

Either that or there is a stupid fancy dress competition and this guy lost. Well I am not surprised; it’s a stupid mask…

He can say anymore, the camera has moved forward and the hillbilly grunts and grabs his abdomen, the other two begin to look in horror at what has happened and then the camera moves down and breaks off a metal pipe and then throws it right into the chest of the first hillbilly. The third and final hillbilly is grabbed by the head and is dragged to the café.

Cut to:

Interior of Jacks Inn, night.

We cut back to Alice and Yvonne talking at the counter and we see that they are a bit agitated about something.


Alice, what is it? You went quiet all of a sudden.



I don’t know. But I am sure I thought I heard a short scream outside.



Your mind is playing games with you.

We cut to a back shot of Alice, which is behind the door and Yvonne who has a perfect shot of the door and anyone coming through it.


(Looking at her watch)

Look Yvonne, I need to go, I need to get the early flight back to California.

Yvonne doesn’t answer. Alice turns and sees what she sees. Coming at the door head, first was the last of the hillbillies, he has been thrown at the glass head first and he crashes through the door glass.

Both Alice and Yvonne scream and look up at the door. They see someone coming through the door.

He is medium height, but is rather tall and is in overalls and is wearing a hockey mask over his face. From the look of his entire body, he is falling apart and is decaying. Of course, its Jason Voorhees.




They both try to run for the door but is blocked off by Jason. Two guys try and overpower the killer, but is dealt with by a stab through the gut with the machete. Alice and Yvonne begin to move towards the back of the restaurant and turn to the owner.


(Running to the back of the counter)

Hey! Is there any other way out of here?

The owner points to the door which is at the back of the café and they run.

Cut to:

Exterior of Jacks Inn.

We now find ourselves back outside following Alice and Yvonne to the back of the inn. Just as they leave, two things happen in quick succession: Jason appears in the kitchen area which is the back and Yvonne trips over and twists her ankle.





Don’t stop, run!

Alice continues and Yvonne almost in pity turns and expects to see Jason killing her. However, Jason is nowhere to be seen. Yvonne, with a second chance to escape now begins to limp run.

During this entire sequence, we intertwine the running of Alice and Yvonne between each other seeing how each of them is doing.

We finally cut to Yvonne who is no closer to reaching the edge of a road, when she trips and falls over.




As she pulls herself up, she first sees boots, then legs. At first she thinks it’s help, but then she sees the knife in the hand. She is in shock, it isn’t Jason Voorhees.

This one has a white ghost mask. This one is Michael Myers. He looks at her side to side, she puts up her hand as if to say please don’t do this.

We cut to a shot of the knife and then to a shot of Yvonne’s eyes and the knife cut her throat.

Cut to:


As Alice is running through the woods, she hears a scream cut short. She turns and then doesn’t know what to do. She doesn’t know whether or not to continue running or to see if her best friend has been killed or not.

She decides on the look option and begins to job towards where she thought the scream came from.

After a few minutes, she finally gets to the tree where she finds her best friend, lying on the ground, motionless.


(Smiling, apprehensively)

Hey kiddo, this is no time to fool around.

(She taps her shoulder and there is no response)


Alice then sees what the killer has done to her best friend. Alice puts her hand over her mouth and cries out in anguish. She then sees a shadow over the dead body.

When she looks up, she sees not only Jason Voorhees, but Michael Myers.

Alice shakes her head in disbelief and begins to run again and they continue to chase.

The chase lasts for about five minutes, with the killers loosing their ways at some points and also, Alice stumbling several times.

Near the edge of a gully which leads onto the main road, which Alice nor the killers can see, Alice stops and looks around. When she turned completely around, she is then confronted by Michael Myers.

Alice screams, Michael then takes a swipe at her and catches her in the arm and back. She backs away from him but the stumbles and falls down the small gully onto the main road.

Michael is about go down after her when a voice is heard almost in his head.


No, you have done enough, this one is mine.

He then begins the long walk back up the hill.

Cut to:

Shot of the hill:

In this shot we follow Alice down the gulley as she is falling down towards the road. She is reacting the way any normal person would be acting to being knocked down a hill.

We then cut to a shot of the main road and we Alice falling down on the road with a scream which is cut short once she hits the rock on the road.

Cut to:

Interior of the police car.

There are two police officers, a man and a woman, and they are both about the same age, old but not that old.

Male officer:

What is it?

Female officer:

Get a goddamn ambulance!

The two officers see that the body is bleeding from several wounds in her back and shoulder. We now see that the body is actually that of Alice Johnson.

Cut to:

Highway, Early Morning:

We now cut to a shot of Alice being taken away in the ambulance. We see newsreporters and police officers looking over the fields. During this sequence, we hear a voice over, which is Alice Johnson.


(Voice over)

Sleep those little slices of death, how I loathe them.


Silence, that is what most of us live in these days. Silence, is the root of all evil. Silence is what the people that are not included, feared, and hated live in. Well not of all of them. Silence has many results, happiness, even love or death.

On the word death, we cut to a shot of the Police chief looking at the remains of Yvonne who is lying face first in the grass. The chief is shaking his head.

Officer 2:

So sir, what you think happened?


Most people would think that blonde haired girl would have done this, because she is the only survivor. However, I am not too sure about it, I think that someone else did it.

Officer 2:

Who Freddy?


(laughing it off)

Are you fucking nuts? Freddy Krueger is dead!

Officer 2:

Hey, I heard that he was responsible for the deaths of all those kids between 1984 and now. You know the ones that died in their sleep apparently.


No, these kids were awake, Freddy never got them, something that can move in our real world killed these kids…

We pull away from them and follow them down the path, during this we now see the same children that are normally in all Freddy movies, doing there song, but this time it is very different.

Calculated crystals, as found in the file:
Compound: K2GePtRh
Source: the Alexandria database
Functional: meta-GGA SCAN
Structure: PBEsol geometry

## Properties
Crystal system ... tetragonal
Energy of formation ... 640 meV per atom
Final energy ... -27.302 eV/atom

Cell and atoms, written as POSCAR:
```
K2GePtRh
1.0
6.0353 0.0000 0.0000
0.0000 6.0353 0.0000
0.0000 0.0000 4.5254
K Ge Pt Rh
2 1 1 1
direct
0.0000 0.5000 0.0000 K
0.5000 0.0000 0.0000 K
0.0000 0.0000 0.0000 Ge
0.0000 0.0000 0.5000 Pt
0.5000 0.5000 0.5000 Rh
```

---

Compound: BaCuW
Source: the Alexandria database
Functional: meta-GGA SCAN
Structure: PBEsol geometry

## Properties
Crystal system ... hexagonal
Energy of formation ... 1534 meV per atom
Final energy ... -39.945 eV/atom

Cell and atoms, written as POSCAR:
```
BaCuW
1.0
4.9004 0.0000 0.0000
-2.4502 4.2438 0.0000
0.0000 0.0000 2.9796
Ba Cu W
1 1 1
direct
0.0000 0.0000 0.0000 Ba
0.3333 0.6667 0.5000 Cu
0.6667 0.3333 0.5000 W
```

---

Compound: Ni2H2Au
Source: the Alexandria database
Functional: meta-GGA SCAN
Structure: PBEsol geometry

## Properties
Crystal system ... tetragonal
Final energy ... -21.686 eV/atom

Cell and atoms, written as POSCAR:
```
Ni2H2Au
1.0
-1.4142 1.4142 5.3884
1.4142 -1.4142 5.3884
1.4142 1.4142 -5.3884
Ni H Au
2 2 1
direct
0.1661 0.1661 0.0000 Ni
0.8339 0.8339 0.0000 Ni
0.2500 0.7500 0.5000 H
0.7500 0.2500 0.5000 H
0.5000 0.5000 0.0000 Au
```

---

Compound: GeBO2
Source: the Alexandria database
Functional: meta-GGA SCAN
Structure: PBEsol geometry

## Properties
Crystal system ... trigonal
Final energy ... -10.967 eV/atom
Formation energy without anion corrections ... -4.9 eV per formula unit

Cell and atoms, written as POSCAR:
```
GeBO2
1.0
1.4980 0.8649 6.3963
-1.4980 0.8649 6.3963
0.0000 -1.7297 6.3963
Ge B O
1 1 2
direct
0.0000 0.0000 0.0000 Ge
0.5000 0.5000 0.5000 B
0.4340 0.4340 0.4340 O
0.5660 0.5660 0.5660 O
```

---

We obtain size of the total moment values of 2.05; 0.00; 0.00; 0.00 μB per formula unit for the records listed above, in that order.


Density functional theory data (PBE-GGA) for a geometry-optimized ThSb4 structure.

Cell and atoms, written as POSCAR:
```
ThSb4
1.0
5.9990 0.0000 0.0000
0.0000 5.9990 0.0000
0.0000 0.0000 5.9990
Sb Th
4 1
Direct
0.0000 0.0000 0.0000 Sb
0.5000 0.0000 0.5000 Sb
0.0000 0.5000 0.5000 Sb
0.5000 0.5000 0.0000 Sb
0.5000 0.5000 0.5000 Th
```

* size of the total moment: 0.0 μB per formula unit
* N(E_F): 7.954 states/eV/cell
* formation energy without anion corrections: 0.70 eV/atom

=====

Density functional theory data (PBE-GGA) for a geometry-optimized K2OsW structure.

Cell and atoms, written as POSCAR:
```
K2OsW
1.0
6.4985 -0.0074 0.0000
-4.2798 4.8902 0.0000
0.0000 0.0000 2.6705
K Os W
2 1 1
Direct
0.0000 0.0000 0.0000 K
0.5000 0.5000 0.0000 K
0.5000 0.0000 0.5000 Os
0.0000 0.5000 0.5000 W
```
So much for the calculated crystals:


(faintly, almost echoing)

One two, Freddy’s coming for you.

Three four Jason’s at your door.

Five Six Michael stabs you with a crucifix.

Seven eight, they’ll make you stay up late.

Nine… ten you’ll never, ever sleep again…

On again, the words New Line Cinema presents, then cuts into a very dramatic version of Halloween theme, which is more stronger than the others before which is quite similar to the theme from Halloween Resurrection. After a production and the directors movie. It now reveals the title:

The 13th Nightmare of Halloween:

Jason vs Freddy vs Michael

Then we start the main credits with main actors and actresses coming up first and with the Halloween theme continuing to play. With the cast and crew being given credit we begin to wind down the entire credits sequence.

Nearing the middle of the credits, we cut to a shot of many articles dating from October 31st 1963 to 2003. Detailing a bunch of events beginning with the drowning of Jason to the latest set of murders with Michael and Jason.

Fade into:

Exterior of mental hospital, night.

We begin with an establishing shot of the hospital and what we see the main ward and many of the patients walking around in their robes in the windows and then we then see a subtitle appear at the bottom of the screen.

October 2003

October 19

Cut to:

Interior of Mental Hospital, main corridor, night.

We first see the head nurse walking down the main corridor and see him looking down at his notes and shaking his head. He doesn’t seem to understand what is happening to this patient that he is treating.

A young chirpy nurse runs up to nurse and smiles. She is about 22 23 years of age. Blonde and rather attractive.


All right nurse Hutton?

He takes one look at her and continues walking on. She continues to walk with him and is almost having to jog to catch up.


So what is this patient in this wing?


What patient?


The patient in the west E wing.


You know, we still haven’t got a clue who the kid is. She was brought to us about a year ago from Springfield, Ohio. She had been stabbed a couple of times and had fallen down a small hill.


And she hasn’t said a word in almost a year?


She hasn’t been awake for over a year. She has been in a coma for the majority of the whole time. She was awake and talking for the first few months. Then she took a turn for the worse, then she slowly went into a coma from then on.


If she has been in a coma for that long, why hasn’t she died?


Who knows, but we try our best, and we think that she will pull through this.

(looking at the patient)

To be honest with you, I don’t know why Dr Lewingston even bothers to keep her alive. She is not going to come out of it anytime soon.

We follow them into the room and then:

Cut to:

Interior of Alices room, Mental hospital, night.

We open this shot with a close up on Alices face which has aged with the number of years that she has been in the coma.

The nurses walk in and then administer the medication and take one look at each other and then leave the room.

The camera then moves on a high shot of Alice and fades to black and into another nightmare.

As it is doing it, we hear the nightmare song:


One two, Freddy’s coming for you

Three four, better lock your door,

Five Six, grab your crucifix,

Seven eight, better stay up late

Nine Ten, never sleep again.

Cut to:

Exterior of the Myer’s house, front, evening.

We begin this part on top of Alice and as she awakens from the sleep. She turns around and sees the house which is near where she is standing. She looks at it with a confused look and then frowns. She thinks at first that it is Kruegers home, but as we move forward with her we see the word “MYERS” written on the door. Alice looks at it and wonders what the hell is she gotten herself into this time. She looks around in wonder beginning to feel afraid. She moves towards the house and as she does, the tune from HALLOWEEN (myers house theme) begins to play.

Cut to:

Interior of the Myers House, night.

We cut to the front door of the house and look up the stairs. Everything seems to be quiet. Too quiet for her liking, she walks briskly into the house and has a quick look. Suddenly she hears voices from the living room.